Having an online education is the new trend in today’s situation. It is convenient, timesaving, and you can learn from anywhere. The great thing about it is that you can be in control of your time. You decide when to study and when to take a break. However, this can be a challenge for some students as it lacks the physical presence that we are all accustomed to; so, disciplining ourselves to finish on time is a real struggle. That’s why we have taken it upon ourselves to write this article on how you can learn better while studying at your tourism and hospitality school remotely.

1. Invest in a good internet connection.
Do not underestimate the importance of having a reliable internet connection while taking an online class. If your internet connection is spotty or non-existent, you can easily face issues while trying to submit assignments on time or asking for help from classmates and professors. When this happens, it is easy to fall into bad habits and fall behind on your work. There are plenty of affordable options such as local telecom data packages. You may also invest in extra modems or signal boosters to have a stable and reliable connection.

2. Take your virtual class seriously.
It is a must that you treat your online class as you would with any other culinary and hospitality school. Read the syllabus thoroughly – the syllabus is the breakdown of all the different assignments, due dates, and tests that you will be completing throughout the course. This gives you a chance to plan and know what you need to get done each week to stay on track with your homework and study load. Online class works just like a traditional classroom, except that you have more time to complete it. May we remind you, if you procrastinate, chances are you’ll get frustrated and not feel like doing it at all, then give up completely when it’s too late to submit anything! So, imprint in your mind that you are “going to class” instead of thinking, ”Oh, it’s just online, I can finish it later.”

~~~
# 1
Theoretical X-ray powder pattern
Compound: Li3Er
Radiation: copper Kα
Structure: a cell relaxed with GGA-PBE

Structure:
a b c (Å): 6.4776 6.4776 5.0475
angles (deg): 90.00 90.00 120.00
Space group P6_3/mmc (No. 194)
Unique sites:
1 Li 0.1523 0.3047 0.2500
2 Er 0.3333 0.6667 0.7500

The 6 most intense peaks (2θ from 10° to 80°), sorted by position:
- 2θ 15.8, intensity 40.1, (1 0 0)
- 2θ 23.7, intensity 100.0, (1 0 1)
- 2θ 27.5, intensity 45.7, (1 1 0)
- 2θ 36.7, intensity 40.8, (2 0 1)
- 2θ 45.6, intensity 23.5, (1 1 2)
- 2θ 46.5, intensity 32.5, (2 1 1)

---

# 2
Theoretical X-ray powder pattern
Compound: LiErO2
Radiation: copper Kα
Structure: a cell relaxed with GGA-PBE

Structure:
a b c (Å): 6.1392 6.1656 6.2026
angles (deg): 90.00 119.11 90.00
Space group P2_1/c (No. 14)
Unique sites:
1 Li 0.2159 0.1508 0.4471
2 Er 0.2636 0.6293 0.5175
3 O 0.0446 0.6106 0.7348
4 O 0.4957 0.1644 0.1664

The 6 most intense peaks (2θ from 10° to 80°), sorted by position:
- 2θ 21.8, intensity 98.1, (0 1 1)
- 2θ 22.0, intensity 100.0, (1 1 0)
- 2θ 33.6, intensity 49.3, (1 2 -1)
- 2θ 33.7, intensity 44.8, (2 0 -2)
- 2θ 41.1, intensity 52.9, (1 2 1)
- 2θ 47.3, intensity 42.0, (0 3 1)

---

# 3
Theoretical X-ray powder pattern
Compound: LiErO2
Radiation: copper Kα
Structure: a cell relaxed with GGA-PBE

Structure:
a b c (Å): 4.4117 4.4117 10.3915
angles (deg): 90.00 90.00 90.00
Space group I4_1/amd (No. 141, origin choice 2)
Unique sites:
1 Li 0.0000 0.2500 0.3750
2 Er 0.0000 0.2500 0.8750
3 O 0.0000 0.2500 0.0959

The 6 most intense peaks (2θ from 10° to 80°), sorted by position:
- 2θ 21.9, intensity 100.0, (1 0 1)
- 2θ 32.9, intensity 26.3, (1 0 3)
- 2θ 33.5, intensity 47.5, (1 1 2)
- 2θ 40.9, intensity 29.2, (2 0 0)
- 2θ 46.9, intensity 26.7, (2 1 1)
- 2θ 54.6, intensity 22.7, (2 0 4)

---

# 4
Theoretical X-ray powder pattern
Compound: LiErO3
Radiation: copper Kα
Structure: a cell relaxed with GGA-PBE

Structure:
a b c (Å): 3.6554 3.6554 3.6554
angles (deg): 90.00 90.00 90.00
Space group Pm-3m (No. 221)
Unique sites:
1 Li 0.0000 0.0000 0.0000
2 Er 0.5000 0.5000 0.5000
3 O 0.0000 0.0000 0.5000

The 6 most intense peaks (2θ from 10° to 80°), sorted by position:
- 2θ 24.3, intensity 100.0, (1 0 0)
- 2θ 34.7, intensity 94.7, (1 1 0)
- 2θ 42.9, intensity 64.0, (1 1 1)
- 2θ 49.9, intensity 33.1, (2 0 0)
- 2θ 56.3, intensity 43.5, (2 1 0)
- 2θ 62.2, intensity 37.1, (2 1 1)

---

# 5
Theoretical X-ray powder pattern
Compound: LiErP4O12
Radiation: copper Kα
Structure: a cell relaxed with GGA-PBE

Structure:
a b c (Å): 16.5315 7.1942 9.7255
angles (deg): 90.00 125.55 90.00
Space group C2/c (No. 15)
Unique sites:
1 Li 0.0000 0.0000 0.0000
2 Er 0.0000 0.2353 0.2500
3 P 0.1346 0.4520 0.6563
4 P 0.1493 0.1587 0.0914
5 O 0.0686 0.4869 0.2060
6 O 0.0802 0.0720 0.9203
7 O 0.1042 0.2901 0.5373
8 O 0.1157 0.1230 0.2053
9 O 0.1605 0.3786 0.0782
10 O 0.2409 0.4116 0.8311

The 6 most intense peaks (2θ from 10° to 80°), sorted by position:
- 2θ 13.2, intensity 51.7, (2 0 0)
~~~
## The records of crystals stop here

3. Stay proactive.
Whatever you do, don’t shy away from asking questions. That’s the best way to get the information you need to succeed. Find out what time the office hours are at your chosen culinary and hospitality institute and ask questions whenever needed. This is the same as with your classmates. Reach out to them, make friends, and request constructive feedback on your work. There is no need to feel ashamed. Take our hospitality school for instance, our instructors will be happy to explain if something isn’t clear to you, even after you are done taking our courses.

4. Stay focused.
The hardest part about studying is often just sitting down and getting started. That’s why most students feel like they never have enough time to study. But by creating a distraction-free environment, you can make sure that the time you do spend studying is as effective as it can be. Here’s one obvious but hard to do advice: Don’t check your phone. Believe it or not, it can actually help to turn off your cell phone while you’re studying! If you know that your phone will constantly be ringing and buzzing with notifications from apps like Facebook, Twitter, Instagram and more, try turning off your phone completely while you’re studying. You’ll be amazed at how much more productive you can be!

**Crystal structures, as found in the file:**
<<<
1.
# Pr3HoTl2
Computed X-ray powder pattern, Cu Kα, 1.54184 Å. Input: a structure optimized by DFT (GGA-PBE).
Neutral-atom scattering factors, no anomalous dispersion.

The 10 most intense peaks (2θ from 5° to 70°), by intensity:
- 2θ 30.32, I = 100
- 2θ 31.48, I = 92
- 2θ 35.31, I = 45
- 2θ 32.53, I = 36
- 2θ 9.66, I = 31
- 2θ 48.77, I = 23
- 2θ 32.67, I = 18
- 2θ 60.31, I = 16
- 2θ 39.38, I = 16
- 2θ 37.36, I = 15

Structure:
a b c (Å): 8.651 8.651 10.435
angles (deg): 117.32 117.32 34.18
Element x y z (fractional)
Pr 0.041 0.041 0.359
Pr 0.289 0.289 0.622
Pr 0.366 0.366 0.325
Pr 0.634 0.634 0.675
Pr 0.711 0.711 0.378
Pr 0.959 0.959 0.641
Ho 0.118 0.118 0.065
Ho 0.882 0.882 0.935
Tl 0.243 0.243 0.900
Tl 0.488 0.488 0.136
Tl 0.512 0.512 0.864
Tl 0.757 0.757 0.100

=====

2.
# Pr5Ho2Tl4
Computed X-ray powder pattern, Cu Kα, 1.54184 Å. Input: a structure optimized by DFT (GGA-PBE).
Neutral-atom scattering factors, no anomalous dispersion.

The 10 most intense peaks (2θ from 5° to 70°), by intensity:
- 2θ 29.77, I = 100
- 2θ 31.57, I = 93
- 2θ 30.35, I = 90
- 2θ 33.25, I = 78
- 2θ 33.80, I = 47
- 2θ 37.21, I = 44
- 2θ 37.66, I = 40
- 2θ 25.44, I = 38
- 2θ 29.35, I = 34
- 2θ 10.80, I = 33

Structure:
a b c (Å): 12.519 12.519 8.199
angles (deg): 92.93 92.93 16.24
Element x y z (fractional)
Pr 0.000 0.000 0.000
Pr 0.267 0.267 0.219
Pr 0.359 0.359 0.878
Pr 0.641 0.641 0.122
Pr 0.733 0.733 0.781
Ho 0.410 0.410 0.283
Ho 0.590 0.590 0.717
Tl 0.163 0.163 0.471
Tl 0.462 0.462 0.647
Tl 0.538 0.538 0.353
Tl 0.837 0.837 0.529

* * * * *

1.
# Y2Ga8Co
Calculated XRD peak list, Cu Kα. Input: a GGA-PBE-relaxed structure.
Kinematic intensities with the Lorentz-polarization factor, no thermal factor.

Peak list (10 most intense, 2θ from 5° to 70°, by angle)
Position (°2θ)	Rel. int.	h k l
20.8	6	1 0 0
30.7	6	1 1 1
33.8	48	1 1 2
38.5	100	1 1 3
40.7	22	0 0 5
42.4	62	2 0 0
44.4	13	1 1 4
60.2	28	2 0 5
61.5	20	2 2 0
66.7	5	1 1 7

Unit cell a=4.267 b=4.267 c=11.078 alpha=90.00 beta=90.00 gamma=90.00
Space group P4/mmm (No. 123)
Symmetry-distinct sites (fractional):
Y  0.000  0.000  0.194 x2
Ga  0.000  0.500  0.000 x2
Ga  0.000  0.500  0.384 x4
Ga  0.500  0.500  0.202 x2
Co  0.000  0.000  0.500 x1

2.
# Y2GaCo2
Calculated XRD peak list, Cu Kα. Input: a GGA-PBE-relaxed structure.
Kinematic intensities with the Lorentz-polarization factor, no thermal factor.

Peak list (10 most intense, 2θ from 5° to 70°, by angle)
Position (°2θ)	Rel. int.	h k l
34.9	100	1 1 2
36.1	22	0 1 3
39.2	18	1 0 3
39.4	20	0 2 2
41.3	52	1 2 1
43.2	16	0 0 4
44.7	27	2 0 0
58.8	10	2 1 3
60.8	12	0 3 3
69.9	24	1 2 5

Unit cell a=4.053 b=5.452 c=8.380 alpha=90.00 beta=90.00 gamma=90.00
Space group Immm (No. 71)
Symmetry-distinct sites (fractional):
Y  0.000  0.000  0.207 x4
Ga  0.000  0.500  0.000 x2
Co  0.000  0.286  0.500 x4

3.
# ZnGaCo2
Calculated XRD peak list, Cu Kα. Input: a GGA-PBE-relaxed structure.
Kinematic intensities with the Lorentz-polarization factor, no thermal factor.
>>>
**The crystal structures stop here:**

5.Take care of yourself.
There will always be times in your life when you don’t feel motivated or you’re feeling overwhelmed by the challenges of being a student. It’s important to look inward for your motivation and remember the goal you are working toward — this will help you stay on track as you work through the challenges. Stay healthy by getting adequate rest, nutrition and exercise and use positive self-talk to reduce anxiety. Bear in mind, that no matter how busy you are, you should schedule time to take care of yourself and spend time with your friends and family. Your success has as much to do with your effort as it has to do with your overall wellbeing.

6. Enroll in a tourism & hospitality school that is well-known for virtual classes.
ASTORIA Culinary & Hospitality Institute (Astoria-ACHI) has developed virtual tourism & hospitality management programs ever since the pandemic hit. More and more lives have been changing because of our accessible education. Not to mention, we have a strong faculty of highly experienced trainers. Whether you are looking to save money on educational costs, add credentials while working at a full-time job, or you are a student looking for virtual immersion, Astoria-ACHI is the right place for you. Learn more about our programs here.
For more on Astoria-ACHI’s virtual programs, explore our YouTube Channel to discover how our culinary & hospitality institute is building future hotelier leaders.